Music Commentary--Creative Writing--Cultural Hilarity

"What if there are no cries of anguish to be heard? Who is prepared to take arms against a sea of amusements? To whom do we complain, and when, and in what tone of voice, when serious discourse dissolves into giggles?"--Neil Postman

Saturday, May 15, 2010

A Declaration of Principles

I begin this blogging adventure with the most humble intentions. Having posted to a film blog called Framing Cinema for the past year or so, I have decided that I want to continue writing on the interwebs. However, I want to write more selfishly. In other words, I only want to write about topics that truly interest me at the given moment. Lately, I have had no real desire to see the latest blockbuster coming to a theatre near you. My passion for cinema hasn’t abated, but my enthusiasm for the current crop of releases has. My faith in movies might be restored once we get through the hell that is the summer popcorn flick season. Until then I don’t want to limit myself to just talking about the cinema. I also don’t want to ramble aimlessly about subjects that either only interest me or about which I have no qualifications whatsoever to speak. So, A Sea of Amusements is my attempt to reconcile all of these internal conflicts that plague me when I sit down to write.

I have no delusions that this blog's readership will be large. While I will try to keep a target audience in mind when I am posting, as I stated earlier, my principal aim is to keep myself engaged in contemplation and dialogue that I find meaningful.

Data records, kept here for reference =
~~~
C24H48B3N3O10 | ωB97M-V/def2-TZVPD

Structure (XYZ):
```
88
Properties=species:S:1:pos:R:3:forces:R:3:mulliken_charge:R:1
C -2.6583 9.7188 2.0540 -1.507 0.399 -0.525 -0.8929
C -2.6840 9.9156 0.4887 0.887 0.333 1.426 0.6246
O -1.8185 10.5920 0.0055 -0.633 -0.530 -0.506 -0.4944
O -3.7203 9.3443 -0.2408 1.052 -0.186 0.569 -0.3618
C -3.3044 8.1730 -0.9626 -0.093 -1.367 -0.903 -0.5698
C -3.3267 6.8383 -0.1122 0.220 -0.295 -0.312 -0.1786
C -4.5775 5.8973 -0.3998 -0.011 -0.009 0.964 -0.7274
B -4.1517 4.3454 -0.5425 0.090 1.415 -0.012 0.5476
O -3.2529 4.0574 -1.6241 -1.520 -1.838 0.710 -0.4580
B -3.4899 2.7846 -2.1660 -0.419 0.208 0.436 0.6456
O -4.4981 1.9443 -1.6116 1.770 0.539 1.124 -0.3010
B -4.5028 2.0594 -0.2063 -0.924 0.552 0.618 0.5066
O -4.4389 0.9802 0.6927 -0.337 -0.057 -1.815 -0.4223
C -4.7253 -0.2497 0.0850 0.961 -1.980 -0.340 0.4218
O -5.7299 -0.4873 -0.5207 0.072 0.952 0.498 -0.5324
C -3.6508 -1.3590 0.1725 1.657 -1.188 0.402 0.3942
C -3.7411 -2.5013 -0.7394 2.282 -0.214 1.827 -0.4872
C -2.6916 -3.5478 -0.6412 -0.366 1.261 0.649 -0.4149
C -1.5773 -3.4993 0.2905 -1.699 1.975 0.057 -0.4948
C -1.5012 -2.3574 1.2035 -1.713 -0.079 -1.385 -0.4272
C -2.5374 -1.3207 1.1345 0.197 -1.193 -0.887 -0.1789
O -4.5951 3.3568 0.3542 1.029 -0.511 -1.868 -0.4633
H -2.6873 10.7508 2.5002 0.218 -0.992 -0.440 0.3110
H -3.6063 9.2103 2.3695 1.045 0.203 -0.091 0.3125
H -1.7399 9.1960 2.4068 -0.753 0.334 -0.497 0.2599
H -4.0347 8.0365 -1.8048 0.611 0.378 0.803 0.3373
H -2.2939 8.2769 -1.4483 -0.884 0.377 0.693 0.3215
H -2.4033 6.2517 -0.3819 -0.708 0.733 0.332 0.2494
H -3.2842 7.0643 0.9868 0.058 -0.146 -1.041 0.2666
H -5.2630 5.9769 0.4824 0.266 0.033 -0.900 0.1589
H -5.1216 6.2649 -1.3124 0.464 -0.490 0.764 0.3070
H -2.8326 2.3530 -3.0565 -0.141 0.246 -0.073 -0.1634
H -4.5552 -2.5891 -1.4868 0.724 0.143 0.700 0.3946
H -2.7550 -4.4290 -1.3171 -0.021 0.881 0.501 0.3220
H -0.8028 -4.3038 0.3039 -0.858 0.844 -0.003 0.3998
H -0.6697 -2.2908 1.9464 -0.878 0.012 -0.734 0.4345
H -2.4797 -0.4719 1.8512 -0.071 -0.700 -0.693 0.3385
C 3.4599 -2.7458 6.3575 0.166 0.100 0.153 -1.4858
C 3.5703 -3.2810 4.9327 -0.352 0.010 0.210 0.3752
C 2.6402 -2.5717 3.9319 0.190 -0.145 -0.286 -0.2866
O 1.2741 -2.9552 4.0208 0.149 0.311 0.014 -0.3134
C 0.5480 -2.3148 5.0563 -0.214 -0.292 -0.078 -0.7866
N 3.3443 -4.7310 4.9498 -0.076 0.061 -0.261 -0.7349
H 2.5655 -3.1028 6.8700 0.001 -0.006 -0.100 0.3010
H 4.3160 -3.0721 6.9516 -0.057 -0.038 -0.065 0.3651
H 3.4461 -1.6529 6.3672 -0.020 -0.038 -0.003 0.3393
H 4.5985 -3.1010 4.6013 -0.068 -0.012 -0.115 0.3955
H 2.9560 -2.8519 2.9219 -0.101 -0.027 0.017 -0.1151
H 2.7385 -1.4803 3.9937 -0.043 0.005 0.151 0.4759
H 0.8816 -1.2859 5.2179 0.078 -0.036 0.028 0.3652
H 0.6223 -2.8887 5.9820 0.011 0.185 0.128 0.2559
H -0.5048 -2.2969 4.7668 0.068 -0.004 -0.071 0.2707
H 3.5187 -5.1000 4.0178 0.116 -0.038 0.097 0.2755
H 2.3448 -4.8797 5.0832 0.109 -0.011 0.108 0.3598
C -0.8631 -0.7530 -5.2028 -0.098 0.050 -0.204 -1.6184
~~~

My intention is to write about several different aspects of popular culture including, but not limited to, film, music, and literature. These fields represent my primary areas of training, so I hope to say something valuable and interesting about them without becoming excessively boring or didactic. I wish to move beyond simply reviewing books, movies, records, etc. to talking about their larger cultural implications. If readers gain an understanding of whether or not they should spend their money on particular works, then such a service is an added bonus to the discussion that will take place.

As the quote at the top of the page indicates, I am starting this blog partly as a reaction to the lack of critical dialogue in our American culture. We all consume thousands upon thousands of moving images, sounds, and words on a daily basis without stopping often to examine exactly what they mean. I believe we are in danger, as cultural critic Neil Postman predicted so brilliantly several decades ago, of “amusing ourselves to death.”

My target audience for this blog is anyone who wishes to think critically and creatively about popular culture. I don’t intend to espouse a particular political or philosophical point of view, but rather engage with the works I discuss on their own terms. I will joyfully promote works of art which I find illuminating and meaningful. My goal is not to kill the aesthetic pleasure of experiencing pieces of pop culture by critically examining them. Rather, I hope to supplement the emotional reactions many of us have to art with reasoned discourse.

While the state of critical discourse in American culture may be pathetic, I am happy to say that several voices calling out in the World Wide wilderness are writing with great clarity and passion about serious cultural issues. I have linked to their pages on the right. My goal is not to replace these passionate critics—as if I could—but rather to supplement the work they are already doing and add my own meager voice to the mix.